## Listing
- - -
Calculated PXRD pattern
Compound: Mg14NbCd
Radiation: Cu Kα X-rays
Structure: a structure optimized by DFT (PBE)
Intensities are scaled so that the largest is 100.

Crystal structure
Lattice parameters (Å, degrees): 10.0377 6.3494 11.0076 90.00 90.00 90.00
Space group Amm2 (No. 38)
Inequivalent atoms, fractional coordinates:
Mg: 0.0000 0.0000 0.9997 [2 per cell]
Mg: 0.0000 0.0000 0.5000 [2 per cell]
Mg: 0.0000 0.2505 0.2501 [4 per cell]
Mg: 0.2523 0.0000 0.1662 [4 per cell]
Mg: 0.2542 0.0000 0.6620 [4 per cell]
Mg: 0.2563 0.2439 0.4189 [8 per cell]
Mg: 0.5000 0.2472 0.7503 [4 per cell]
Nb: 0.5000 0.0000 0.5010 [2 per cell]
Cd: 0.5000 0.0000 0.9992 [2 per cell]

Top 10 peaks for 2θ from 5° to 70°, sorted by position:
hkl 1 0 0, 8.81 deg, intensity 53; hkl 0 0 2, 16.10 deg, intensity 15; hkl 1 0 2, 18.38 deg, intensity 21; hkl 0 2 2, 32.55 deg, intensity 29; hkl 1 2 2, 33.79 deg, intensity 13; hkl 4 0 0, 35.78 deg, intensity 24; hkl 2 0 4, 37.28 deg, intensity 100; hkl 4 2 2, 49.15 deg, intensity 18; hkl 0 4 0, 58.08 deg, intensity 17; hkl 6 0 4, 65.28 deg, intensity 18


Calculated PXRD pattern
Compound: Mg6NbCd
Radiation: Cu Kα X-rays
Structure: a structure optimized by DFT (PBE)
Intensities are scaled so that the largest is 100.

Crystal structure
Lattice parameters (Å, degrees): 4.9641 6.2652 10.9322 90.00 90.00 90.00
Space group Amm2 (No. 38)
Inequivalent atoms, fractional coordinates:
Mg: 0.0000 0.0000 0.0000 [2 per cell]
Mg: 0.0000 0.0000 0.4932 [2 per cell]
Mg: 0.0000 0.2394 0.2538 [4 per cell]
Mg: 0.5000 0.2472 0.5851 [4 per cell]
Nb: 0.5000 0.0000 0.3354 [2 per cell]
Cd: 0.5000 0.0000 0.8332 [2 per cell]

Top 10 peaks for 2θ from 5° to 70°, sorted by position:
hkl 0 0 2, 16.22 deg, intensity 52; hkl 1 0 0, 17.87 deg, intensity 39; hkl 1 0 2, 24.22 deg, intensity 38; hkl 0 0 4, 32.77 deg, intensity 18; hkl 0 2 2, 32.96 deg, intensity 36; hkl 2 0 0, 36.19 deg, intensity 36; hkl 1 0 4, 37.57 deg, intensity 51; hkl 1 2 2, 37.73 deg, intensity 100; hkl 2 2 2, 49.75 deg, intensity 22; hkl 3 2 2, 66.11 deg, intensity 18


Calculated PXRD pattern
Compound: Mg14NbCd
Radiation: Cu Kα X-rays
Structure: a structure optimized by DFT (PBE)
Intensities are scaled so that the largest is 100.

Crystal structure
Lattice parameters (Å, degrees): 6.3676 6.3676 10.0124 90.00 90.00 120.00
Space group P-6m2 (No. 187)
Inequivalent atoms, fractional coordinates:
Mg: 0.0000 0.0000 0.2476 [2 per cell]
Mg: 0.0113 0.5056 0.2457 [6 per cell]
Mg: 0.3324 0.1662 0.5000 [3 per cell]
Mg: 0.3367 0.1684 0.0000 [3 per cell]
Nb: 0.3333 0.6667 0.0000 [1 per cell]
Cd: 0.3333 0.6667 0.5000 [1 per cell]

Top 10 peaks for 2θ from 5° to 70°, sorted by position:
hkl 1 0 0, 16.07 deg, intensity 44; hkl 1 0 2, 24.01 deg, intensity 29; hkl 2 0 0, 32.47 deg, intensity 29; hkl 1 1 2, 33.35 deg, intensity 14; hkl 0 0 4, 35.88 deg, intensity 24; hkl 2 0 2, 37.23 deg, intensity 100; hkl 2 1 2, 47.24 deg, intensity 12; hkl 2 0 4, 49.16 deg, intensity 18; hkl 2 2 0, 57.93 deg, intensity 17; hkl 2 0 6, 65.37 deg, intensity 18

* * * * *

For In5HgCl4, a PBE-relaxed structure gives the computed X-ray powder pattern in this record (Cu Kα).
No peak broadening, texture or thermal motion is included.

```
In5HgCl4
1.0
-2.094 3.108 11.966
2.094 -3.108 11.966
2.094 3.108 -11.966
In Hg Cl
5 1 4
Cartesian
0.000 0.000 0.000 In
0.000 0.000 4.818 In
0.000 0.000 9.716 In
0.000 0.000 14.216 In
0.000 0.000 19.114 In
0.000 3.108 0.000 Hg
2.094 0.000 2.446 Cl
2.094 0.000 7.361 Cl
0.000 3.108 4.604 Cl
0.000 3.108 9.520 Cl
```

Main lines, in order of falling intensity (5° ≤ 2θ ≤ 70°):
3.152 Å, 2θ 28.31, I = 100; 2.213 Å, 2θ 40.78, I = 73; 3.108 Å, 2θ 28.73, I = 49; 11.966 Å, 2θ 7.39, I = 34; 6.005 Å, 2θ 14.75, I = 23; 2.393 Å, 2θ 37.58, I = 22

=====

For In2Hg3Cl2, a PBE-relaxed structure gives the computed X-ray powder pattern in this record (Cu Kα).
No peak broadening, texture or thermal motion is included.

```
In2Hg3Cl2
1.0
4.295 0.000 0.000
0.000 4.257 0.000
-1.523 0.000 14.583
- - -

## Request
What is needed: restate the whole of the calculation results further up with every line break kept.

## Result
Calculated PXRD pattern
Compound: Mg14NbCd
Radiation: Cu Kα X-rays
Structure: a structure optimized by DFT (PBE)
Intensities are scaled so that the largest is 100.

Crystal structure
Lattice parameters (Å, degrees): 10.0377 6.3494 11.0076 90.00 90.00 90.00
Space group Amm2 (No. 38)
Inequivalent atoms, fractional coordinates:
Mg: 0.0000 0.0000 0.9997 [2 per cell]
Mg: 0.0000 0.0000 0.5000 [2 per cell]
Mg: 0.0000 0.2505 0.2501 [4 per cell]
Mg: 0.2523 0.0000 0.1662 [4 per cell]
Mg: 0.2542 0.0000 0.6620 [4 per cell]
Mg: 0.2563 0.2439 0.4189 [8 per cell]
Mg: 0.5000 0.2472 0.7503 [4 per cell]
Nb: 0.5000 0.0000 0.5010 [2 per cell]
Cd: 0.5000 0.0000 0.9992 [2 per cell]

Top 10 peaks for 2θ from 5° to 70°, sorted by position:
hkl 1 0 0, 8.81 deg, intensity 53; hkl 0 0 2, 16.10 deg, intensity 15; hkl 1 0 2, 18.38 deg, intensity 21; hkl 0 2 2, 32.55 deg, intensity 29; hkl 1 2 2, 33.79 deg, intensity 13; hkl 4 0 0, 35.78 deg, intensity 24; hkl 2 0 4, 37.28 deg, intensity 100; hkl 4 2 2, 49.15 deg, intensity 18; hkl 0 4 0, 58.08 deg, intensity 17; hkl 6 0 4, 65.28 deg, intensity 18


Calculated PXRD pattern
Compound: Mg6NbCd
Radiation: Cu Kα X-rays
Structure: a structure optimized by DFT (PBE)
Intensities are scaled so that the largest is 100.

Crystal structure
Lattice parameters (Å, degrees): 4.9641 6.2652 10.9322 90.00 90.00 90.00
Space group Amm2 (No. 38)
Inequivalent atoms, fractional coordinates:
Mg: 0.0000 0.0000 0.0000 [2 per cell]
Mg: 0.0000 0.0000 0.4932 [2 per cell]
Mg: 0.0000 0.2394 0.2538 [4 per cell]
Mg: 0.5000 0.2472 0.5851 [4 per cell]
Nb: 0.5000 0.0000 0.3354 [2 per cell]
Cd: 0.5000 0.0000 0.8332 [2 per cell]

Top 10 peaks for 2θ from 5° to 70°, sorted by position:
hkl 0 0 2, 16.22 deg, intensity 52; hkl 1 0 0, 17.87 deg, intensity 39; hkl 1 0 2, 24.22 deg, intensity 38; hkl 0 0 4, 32.77 deg, intensity 18; hkl 0 2 2, 32.96 deg, intensity 36; hkl 2 0 0, 36.19 deg, intensity 36; hkl 1 0 4, 37.57 deg, intensity 51; hkl 1 2 2, 37.73 deg, intensity 100; hkl 2 2 2, 49.75 deg, intensity 22; hkl 3 2 2, 66.11 deg, intensity 18


Calculated PXRD pattern
Compound: Mg14NbCd
Radiation: Cu Kα X-rays
Structure: a structure optimized by DFT (PBE)
Intensities are scaled so that the largest is 100.

Crystal structure
Lattice parameters (Å, degrees): 6.3676 6.3676 10.0124 90.00 90.00 120.00
Space group P-6m2 (No. 187)
Inequivalent atoms, fractional coordinates:
Mg: 0.0000 0.0000 0.2476 [2 per cell]
Mg: 0.0113 0.5056 0.2457 [6 per cell]
Mg: 0.3324 0.1662 0.5000 [3 per cell]
Mg: 0.3367 0.1684 0.0000 [3 per cell]
Nb: 0.3333 0.6667 0.0000 [1 per cell]
Cd: 0.3333 0.6667 0.5000 [1 per cell]

Top 10 peaks for 2θ from 5° to 70°, sorted by position:
hkl 1 0 0, 16.07 deg, intensity 44; hkl 1 0 2, 24.01 deg, intensity 29; hkl 2 0 0, 32.47 deg, intensity 29; hkl 1 1 2, 33.35 deg, intensity 14; hkl 0 0 4, 35.88 deg, intensity 24; hkl 2 0 2, 37.23 deg, intensity 100; hkl 2 1 2, 47.24 deg, intensity 12; hkl 2 0 4, 49.16 deg, intensity 18; hkl 2 2 0, 57.93 deg, intensity 17; hkl 2 0 6, 65.37 deg, intensity 18

* * * * *

For In5HgCl4, a PBE-relaxed structure gives the computed X-ray powder pattern in this record (Cu Kα).
No peak broadening, texture or thermal motion is included.

```
In5HgCl4
1.0
-2.094 3.108 11.966
2.094 -3.108 11.966
2.094 3.108 -11.966
In Hg Cl
5 1 4
Cartesian
0.000 0.000 0.000 In
0.000 0.000 4.818 In
0.000 0.000 9.716 In
0.000 0.000 14.216 In
0.000 0.000 19.114 In
0.000 3.108 0.000 Hg
2.094 0.000 2.446 Cl
2.094 0.000 7.361 Cl
0.000 3.108 4.604 Cl
0.000 3.108 9.520 Cl
```

Main lines, in order of falling intensity (5° ≤ 2θ ≤ 70°):
3.152 Å, 2θ 28.31, I = 100; 2.213 Å, 2θ 40.78, I = 73; 3.108 Å, 2θ 28.73, I = 49; 11.966 Å, 2θ 7.39, I = 34; 6.005 Å, 2θ 14.75, I = 23; 2.393 Å, 2θ 37.58, I = 22

=====

For In2Hg3Cl2, a PBE-relaxed structure gives the computed X-ray powder pattern in this record (Cu Kα).
No peak broadening, texture or thermal motion is included.

```
In2Hg3Cl2
1.0
4.295 0.000 0.000
0.000 4.257 0.000
-1.523 0.000 14.583